Periodic Reporting for period 1 - PharmGenHUB (Pharmacogenomics Hub in a strengthened IMGGE)
Okres sprawozdawczy: 2022-07-01 do 2023-09-30
1. Bioinformatics on-site training of the IMGGE staff at UPAT as well as advanced statistics on-site training at UL have been carried out.
2. Most activities in the gaining knowledge to apply iPS cells model system for personalized pharmacogenomics research have been realized through intensive on- line communication with researchers from UNITS. Researchers from UNITS visited IMGGE in order to translate iPSC technology from UNITS to IMGGE.
3. The original bioinformatics tool for WGS analysis leading to the pipeline for pharmacogenomics analysis, has been designed and tested.
4. Communication with WB partners has been established and ethical issues regarding the Pilot project have been resolved.
5. Samples of 250 individuals from Western Balkans have been collected and the chemistry for WGS analysis is purchased. Most samples have been transferred to IMGGE. The WGS analysis is ongoing.
6. One paper has already been published and two more research papers, as a result of PharmGenHUB project have been submitted.
7. A Summer school in Trieste, Italy and a Pharmacogenomics Day in Skopje, Northern Macedonia have been organized. Other numerous dissemination activities have been carried out.
### Between two parts of the article: materials data
-- begin --
# 1
Compound: La2Mg6Au3
Source: Alexandria via LeMat-Bulk
Functional: GGA-PBE
Structure: relaxed

Structure (POSCAR):
```
La2Mg6Au3
1.0
8.4460 0.0000 0.0000
-4.2230 7.3145 0.0000
0.0000 0.0000 4.3647
La Mg Au
2 6 3
Direct
0.3333 0.6667 0.0000
0.6667 0.3333 0.0000
0.0000 0.2915 0.5000
0.0000 0.7957 0.0000
0.2043 0.2043 0.0000
0.2915 0.0000 0.5000
0.7085 0.7085 0.5000
0.7957 0.0000 0.0000
0.0000 0.6114 0.5000
0.3886 0.3886 0.5000
0.6114 0.0000 0.5000
```

Results
Energy = -34.0 eV/cell

***

# 2
Compound: Cs3CoAg2Cl6
Source: Alexandria via LeMat-Bulk
Functional: GGA-PBE
Structure: relaxed

Structure (POSCAR):
```
Cs3CoAg2Cl6
1.0
7.6919 0.0000 0.0000
-3.8460 6.6614 0.0000
0.0000 0.0000 8.7068
Cs Co Ag Cl
3 1 2 6
Direct
0.0000 0.0000 0.0000
0.3333 0.6667 0.6565
0.6667 0.3333 0.3435
0.0000 0.0000 0.5000
0.3333 0.6667 0.2551
0.6667 0.3333 0.7449
0.1498 0.2995 0.3198
0.1498 0.8502 0.3198
0.2995 0.1498 0.6802
0.7005 0.8502 0.3198
0.8502 0.1498 0.6802
0.8502 0.7005 0.6802
```

Results
Energy = -38.7 eV/cell

***

# 3
Compound: BaMoCl
Source: Alexandria via LeMat-Bulk
Functional: GGA-PBE
Structure: relaxed

Structure (POSCAR):
```
BaMoCl
1.0
4.1479 0.0000 0.0000
1.8442 6.5754 0.0000
1.8171 -0.1225 6.6529
Ba Mo Cl
2 2 2
Direct
0.0000 0.0000 0.0000
0.0000 0.5000 0.5000
0.3391 0.4309 0.9382
0.6609 0.5691 0.0618
0.4039 0.8388 0.3458
0.5961 0.1612 0.6542
```

Results
Relative energy among the computed polymorphs = 173 meV per atom

***

Looking at DOS at the Fermi energy for the records above, in order, we have 1.111 0.811 0.829 states/eV per atom.

=====

First-principles (PBE-GGA) data for a geometry-optimized Y2ReSn structure, as listed in Alexandria via LeMat-Bulk.

```
Y2ReSn
1.0
-4.190 4.190 2.918
4.190 -4.190 2.918
4.190 4.190 -2.918
Y Re Sn
4 2 2
Cartesian
2.095 1.561 -0.730 Y
2.629 -2.095 3.648 Y
2.095 2.629 2.189 Y
1.561 6.286 0.730 Y
0.000 0.000 0.000 Re
0.000 4.190 1.459 Re
4.190 0.000 1.459 Sn
0.000 0.000 2.918 Sn
```

Properties
raw total energy	-56.1	eV for the cell shown
total magnetization	0.0	μB/f.u.
formation energy	0.33	eV/atom

First-principles (PBE-GGA) data for a geometry-optimized ZnRe2Sn structure, as listed in Alexandria via LeMat-Bulk.

```
ZnRe2Sn
1.0
-1.979 1.979 9.439
1.979 -1.979 9.439
1.979 1.979 -9.439
Zn Re Sn
2 4 2
Cartesian
0.000 0.000 0.000 Zn
0.000 1.979 4.719 Zn
2.968 0.711 -2.360 Re
0.711 0.989 2.360 Re
-0.989 1.268 7.079 Re
1.268 0.989 11.798 Re
1.979 0.000 4.719 Sn
0.000 0.000 9.439 Sn
```

Properties
raw total energy	-55.5	eV for the cell shown
excess energy over the best structure of this formula in the dataset	0.00	eV/f.u.
total magnetization	0.0	μB/f.u.
formation energy	0.61	eV/atom

First-principles (PBE-GGA) data for a geometry-optimized Zn2ReSn structure, as listed in Alexandria via LeMat-Bulk.

```
Zn2ReSn
1.0
-3.792 3.792 2.650
3.792 -3.792 2.650
3.792 3.792 -2.650
Zn Re Sn
4 2 2
Cartesian
1.896 1.617 -0.662 Zn
2.175 -1.896 3.312 Zn
1.896 2.175 1.987 Zn
1.617 5.688 0.662 Zn
0.000 0.000 0.000 Re
-- stop --
8. Web site has been activated and updated regularly. Social networks (Facebook, LinkedIn, Twitter) have been activated and the activities are posted. Leaflets have been distributed. Other means of communication were also used.
9. The Research Management Unit (RMU) has been established and has started to work at IMGGE. Reinforcement of the research supporting structures and offices of the IMGGE has been achieved through training of 5 IMGGE administrative staff and a senior researcher at UPAT.
10. Data Management Plan and the Plan for dissemination, exploitation and communication have been created.
1. The most critical part of the realization of the Project was the non-existence of publicly available bioinformatics pipeline for the analysis of WGS raw data. Since IMGGE had already introduced WGS methodology in house, and obtained 48 WGS raw sequences, EU partner UPAT with expertise in pharmacogenomics bioinformatics has been actively involved in intensive online communication regarding developing and testing bioinformatics WGS pipeline. The original tool for WGS analysis has been designed by UPAT staff and IMGGE staff.
2. IMGGE has acquired two key sequencing instruments- NextSeq 550 Dx and NextSeq 2000 (Illumina) from other projects and services, so that NGS analysis, including WGS can be performed in IMGGE. Also, ELTA d.o.o. a representative of Illumina in Serbia has supported the PharmGenHUB project by the installation of the robot for library preparation for NGS: Beckman Coulter Biomek i5 at IMGGE.
3. With the support of the researchers from UNITS, translation of iPSC technology from UNITS to IMGGE has been enabled through the establishment of new iPSC facility in IMGGE. This is one of the main achievements of the PharmGenHUB project related to iPSC research because it enables sustainability of the PharmGenHUB project.
4. PharmGenHUB team has been approached by TAKEDA and Novartis pharmaceutical companies. Project dedicated to the application of pharmacogenomics and artificial intelligence in inflammatory bowel diseases treatment has been approved by TAKEDA as investigator-initiated research (IISR) to be realized by 2025. Also, the PharmGenHUB team has applied for the grant of Novartis in May 2023. The project is dedicated to the pharmacogenomics of Hypercholesterolemia treatment. Both projects are based on population pharmacogenomics.
5. Several pharmacogenomics studies are initiated by PharmGenHUB project. Two manuscripts have already been submitted, and two more studies are ongoing.
6. Pharmacoeconomics studies, initiated in the PharmGenHUB project, will contribute to the Project impact on health care system and society as well.